Input =
=====
Model i:
A relaxed structure of La2HfO5, computed with PBE.

Cell and atoms, written as POSCAR:
```
La2HfO5
1.0
3.909 0.000 0.000
0.000 7.825 0.000
0.000 0.000 16.488
La Hf O
8 4 20
Direct
0.250 0.106 0.083 La
0.250 0.153 0.742 La
0.750 0.347 0.242 La
0.750 0.394 0.583 La
0.250 0.606 0.417 La
0.250 0.653 0.758 La
0.750 0.847 0.258 La
0.750 0.894 0.917 La
0.250 0.110 0.428 Hf
0.750 0.390 0.928 Hf
0.250 0.610 0.072 Hf
0.750 0.890 0.572 Hf
0.750 0.085 0.172 O
0.750 0.076 0.460 O
0.750 0.109 0.649 O
0.750 0.159 0.996 O
0.250 0.259 0.327 O
0.750 0.241 0.827 O
0.250 0.341 0.496 O
0.250 0.391 0.149 O
0.250 0.424 0.960 O
0.250 0.415 0.672 O
0.750 0.585 0.328 O
0.750 0.576 0.040 O
0.750 0.609 0.851 O
0.750 0.659 0.504 O
0.250 0.759 0.173 O
0.750 0.741 0.673 O
0.250 0.841 0.004 O
0.250 0.891 0.351 O
0.250 0.924 0.540 O
0.250 0.915 0.828 O
```

***

Model ii:
A relaxed structure of La2HfO5, computed with PBE.

Cell and atoms, written as POSCAR:
```
La2HfO5
1.0
-6.659 0.478 1.754
-4.768 -4.833 1.247
-1.069 -1.119 7.746
La Hf O
4 2 10
Direct
0.369 0.343 0.769 La
0.343 0.369 0.269 La
0.657 0.631 0.731 La
0.631 0.657 0.231 La
0.000 0.000 0.500 Hf
0.000 0.000 0.000 Hf
0.240 0.611 0.967 O
0.611 0.240 0.467 O
0.990 0.678 0.634 O
0.322 0.010 0.866 O
0.678 0.990 0.134 O
0.010 0.322 0.366 O
0.389 0.760 0.533 O
0.843 0.157 0.750 O
0.760 0.389 0.033 O
0.157 0.843 0.250 O
```

***

Stability, highest: model i

***

Model i:
A relaxed structure of La2HfO5, computed with PBE.

Cell and atoms, written as POSCAR:
```
La2HfO5
1.0
3.971 0.000 0.000
0.000 11.330 0.000
0.000 0.000 11.856
La Hf O
8 4 20
Direct
0.250 0.102 0.282 La
0.250 0.132 0.937 La
0.750 0.368 0.437 La
0.750 0.398 0.782 La
0.250 0.602 0.218 La
0.250 0.632 0.563 La
0.750 0.868 0.063 La
0.750 0.898 0.718 La
0.250 0.191 0.624 Hf
0.750 0.309 0.124 Hf
0.250 0.691 0.876 Hf
0.750 0.809 0.376 Hf
0.750 0.006 0.899 O
0.250 0.026 0.671 O
0.750 0.223 0.273 O
0.250 0.231 0.457 O
0.750 0.246 0.620 O
0.250 0.254 0.120 O
0.750 0.269 0.957 O
0.250 0.277 0.773 O
0.750 0.474 0.171 O
0.250 0.494 0.399 O
0.750 0.506 0.601 O
0.250 0.526 0.829 O
0.750 0.723 0.227 O
0.250 0.731 0.043 O
0.750 0.746 0.880 O
0.250 0.754 0.380 O
0.750 0.769 0.543 O
0.250 0.777 0.727 O
0.750 0.974 0.329 O
0.250 0.994 0.101 O
```

***

Model ii:
A relaxed structure of La2HfO5, computed with PBE.

Cell and atoms, written as POSCAR:
```
La2HfO5
1.0
2.114 -6.009 0.000
2.114 6.009 0.000
0.000 0.000 11.195
La Hf O
4 2 10
Direct
0.862 0.138 0.571 La
0.862 0.138 0.929 La
0.138 0.862 0.071 La
0.138 0.862 0.429 La
0.830 0.170 0.250 Hf
0.170 0.830 0.750 Hf
0.949 0.051 0.120 O
0.717 0.283 0.403 O
0.949 0.051 0.380 O
0.717 0.283 0.097 O
0.717 0.283 0.750 O
0.283 0.717 0.250 O
0.051 0.949 0.620 O
0.051 0.949 0.880 O
0.283 0.717 0.597 O
0.283 0.717 0.903 O
```

***

Stability, highest: model i

***

Model i:
A relaxed structure of NaHfMg14O15, computed with PBE.

Cell and atoms, written as POSCAR:
```
NaHfMg14O15
1.0
-2.434 5.630 -6.075
2.053 -5.712 -6.116
-4.031 -1.595 0.137
Na Hf Mg O
1 1 14 15
Direct
0.000 0.000 0.000 Na
0.493 0.500 0.000 Hf
0.999 0.500 0.000 Mg
0.500 0.000 0.000 Mg
0.001 0.245 0.500 Mg
0.001 0.755 0.500 Mg
0.499 0.240 0.500 Mg
0.499 0.760 0.500 Mg
0.244 0.000 0.500 Mg
0.244 0.500 0.500 Mg
0.756 0.000 0.500 Mg
0.759 0.500 0.500 Mg
0.240 0.241 0.000 Mg
0.240 0.759 0.000 Mg
0.760 0.243 0.000 Mg
0.760 0.757 0.000 Mg
0.267 0.000 0.000 O
0.734 0.000 0.000 O
0.751 0.500 0.000 O
0.251 0.245 0.500 O
0.251 0.755 0.500 O
0.748 0.251 0.500 O
0.748 0.749 0.500 O
0.999 0.000 0.500 O
0.000 0.500 0.500 O
0.501 0.000 0.500 O
0.506 0.500 0.500 O
0.000 0.265 0.000 O
0.000 0.735 0.000 O
0.501 0.257 0.000 O
0.501 0.743 0.000 O
```

***

Model ii:
A relaxed structure of NaHfMg14O15, computed with PBE.

Cell and atoms, written as POSCAR:
```
NaHfMg14O15
1.0
8.611 0.000 0.000
0.000 8.650 0.000
0.000 0.000 4.330
Na Hf Mg O
1 1 14 15
Direct
0.000 0.000 0.000 Na
0.008 0.500 0.000 Hf
0.500 0.000 0.000 Mg
0.501 0.500 0.000 Mg
0.001 0.236 0.500 Mg
=====

What to do =
Reproduce the lines above from the one with "0.124 Hf" to the one with "0.250 0.231" word for word.

Reply =
0.750 0.309 0.124 Hf
0.250 0.691 0.876 Hf
0.750 0.809 0.376 Hf
0.750 0.006 0.899 O
0.250 0.026 0.671 O
0.750 0.223 0.273 O
0.250 0.231 0.457 O